Tag: apps


Read Across America Day

stone-figure-10542_640Many people in the United States, particularly students, parents and teachers, join forces on Read Across America Day, annually held on March 2. This nationwide observance coincides with the birthday of Dr Seuss.

Here are some great reading websites for students K-5:

  1. Aesop Fables—no ads
  2. Aesop’s Fables
  3. Audio stories
  4. Childhood Stories
  5. Classic Fairy Tales
  6. Edutainment games and stories
  7. Fables—Aesop—nicely done
  8. Fairy Tales and Fables
  9. Interactive storybook collection
  10. Listen/read–Free non-fic audio books
  11. Magic Keys–stories for youngers
  12. Mighty Book
  13. Open Library
  14. PBS Stories–Between the Lions
  15. RAZ Kids–wide variety of reading levels, age groups, with teacher dashboards
  16. Signed stories
  17. Starfall
  18. Stories read by actors
  19. Stories to read
  20. Stories to read for youngsters
  21. Stories to read from PBS kids
  22. Stories to read–II
  23. Stories to read—International Library
  24. Stories—MeeGenius—read/to me
  25. Stories—non-text
  26. Story Scramble
  27. Story time–visual
  28. Storytime for me
  29. Teach your monster to read (free)
  30. Tumblebooks (fee)
  31. Ziggity Zoom Stories


education apps

3 Classroom Management Apps You’ll Love

colorful silhouette hands background designYou became a teacher to inspire the next generation, to guide students toward their future with patience and wisdom, to be able to go home at the end of the day having accomplished something important. You figured a typical day would include predominantly teaching with the addition of planning lessons, remediating those who were struggling, and differentiating for those who needed a different approach. You’d happily miss lunch to help a child or a colleague.

What you didn’t realize was how much of your time would be spent managing the classroom. That includes tasks like arranging seats, quieting the noisy and energizing the shy, fairly and objectively choosing teams and partners, insuring resources are equally available, filing papers, making time to catch up students who missed a quiz or got sick during it or just couldn’t get to school that day.  It didn’t take long to realize these tasks are just as important as how you teach, your depth of knowledge on a subject, your ability to unveil information in multiple ways, and how you scaffold and spiral. At the end of the day, these as a group are a barometer of your ‘teacher effectiveness’. In fact, how well you manage your class decides whether students trust you enough to listen to what you teach.



252 Favorite IPad Apps for your Classroom

ipad-3-schoolApp use is taking over classrooms, but what as teachers really want are authentic, educational apps that promote higher order skills like critical thinking and problem solving.

Here’s my list, culled from my students and my PLN. Bookmark this page  because this is where I update throughout the year. Then, you’ll always be current (for example, it used to have just 107 apps).

If you have an app you use in your classroom, please add it to comments at the bottom. I’ll update as soon as possible.

If you’re the developer of a great educational app, please contact me. I’ll review it. If it meets Ask a Tech Teacher standards (high quality, ease of use, no/low advertising, quality educational value), I’ll list it. More details here.


  • Puppet Pals HD (free)–Create your own unique shows with animation and audio in real time
  • Toontastic–empowers kids to draw, animate, and share their cartoons through imaginative play.



Bloom’s Taxonomy    


  • Lino–share notes and photos

Classroom Management

Classroom Resources


5 Apps to Help You Reach Your Zen

Teachers work hard. We start before students arrive at school, spend hours after school tutoring, in faculty meetings, and chatting with parents, and evenings are spent grading papers after kids are put to bed. We juggle computers, calculators, laptops, Chromebooks, Smartscreens, erreaders, and IPads to entice students to learn whatever standards and curriculum requires.

Every once in a while, we need a mental health break. That’s when we pull out a few apps that put the Zen back into life. Here are five of my favorites. They’re great to shake up the day, add a little pizzazz to the routine for an hour or so:



3 Apps that Boost Creativity

There are so many apps out there, I can’t keep up–and I’m supposed to. I’m the tech teacher. I used to download every app that looked fun, exciting, useful, try it out, be amazed by it, and then like a squirrel, dart to the next shiny object. I rarely got back to that one that so magnificently filled my attention for all of ten minutes. People in my PLN–teachers I respect and admire–have favorites that they swear by, which means I must try them. And I do, often love them and am sure I’ll use them the next time I have need of… a virtual Swiss Army Knife or an e-dressing room to try on clothes. But I don’t. Usually, it’s because there are ten that are Just Perfect for whatever I want to do, or I can’t find  the one I loved just a week ago. If I could remember the name, I could search for it, but at times my brain is as useful as a chocolate teapot.

Truth, there are so many apps on my IPad, I’m throwing out those I haven’t used in a year, have forgotten about, and/or can’t figure out. What’s left, I’ll use before I download more, no matter how exciting the new widget sounds.

And I found some amazing apps–about twenty that have me gobsmacked. I’ll start with three I can’t believe I never used:


This is my current favorite note-taking app. Consider this scenario. You’re at a meeting, taking notes. Typing away. The speaker draws something on the whiteboard–you fumble to record it on your IPad. Or s/he’s referring to a picture that’s in your camera roll, but how do you bring it up and add his thoughts? You know there’s a way, but what app was it and how do you integrate it with the note-taking app? Then–horror–he’s talking too fast to keep up. If only you could just tape him and listen without struggling to write every word.

You need Notability. See the image to the right? That’s how you use this powerful, inexpensive app:

  • take notes by tapping the screen. Wherever you tap is where you type. No waiting for a cursor or working from top down. In this case, I type right next to the image.
  • quickly change from typing to drawing by accessing the short, ever-present toolbar at the top of the screen (hard to see in the drawing, but it starts with a ‘t’). Drawing defaults to what would normally be a pencil, just like you’d want if you were handwriting notes and needed to copy a picture from a screen. Width and color is easily changed with another tap.
  • open an image or PDF from your Google Drive, DropBox or another location and write directly on it–or just take a picture of the speaker’s work and insert it into your notes.
  • give up note-taking and tape the presentation with the microphone tool at the top of the screen. One click and you’re recording. Another click and you’re back to typing.

From its dashboard, you can easily find and access notes, edit, revise and share with anyone. I have used Evernote faithfully and will still use it for collecting websites, data, images, and more. But for quick notes–what you might take on a yellow lined tablet (that has access to image downloads and audio taping)–I now use Notability and then share with Evernote.

(BTW: If you’re looking for a simple image annotation tool, Notability is great. Open the picture and write all over it, wherever you want.)


The idea of being able to annotate pictures is powerful. Many images speak for themselves, but others require enhancement–something to make the idea clearer or communicate a unique perspective. If you couldn’t see the puppy’s thought bubble in the picture to the right, you’d never know how happy he was (though the flopping chaotic ears give it away).

Thinglink is quickly taking over the market for annotating images. Besides thought bubbles, you can add hotlinks that when hovered over, become words, emoticons, weblinks, document links, tags, and more. You can even include music, videos, and other pictures. This is perfect in the classroom. One seminal picture can be linked to relevant information that covers an entire topic with just a few clicks.

Once a Thinglink is completed, it can be shared, commented on, even embedded into personal blogs and websites.

And education accounts are free.


common core in class

Dear Otto: Are there any Good Keyboarding Apps?

tech questionsDear Otto is an occasional column where I answer questions I get from readers about teaching tech. If you have a question, please complete the form below and I’ll answer it here. For your privacy, I use only first names.

Here’s a great question I got from Kathy in South Africa:

I have been searching for an app that will help students learn basic keyboarding or even practice learning where the keys are located on the keyboard. So far, I have had no luck in finding such an app.

Crystal structures, as found in the file
-- begin --
# Na4MgSiAu2
Computed powder diffraction line list, copper Kα. Input: a PBE-relaxed structure.
Lines closer than 0.1° are merged.

Crystal structure
Cell lengths 4.805, 4.805, 6.834 Å; angles 90.00, 90.00, 90.00 degrees
Fractional coordinates of all 8 atoms:
Na: 0.000 0.000 0.000
Na: 0.000 0.500 0.738
Na: 0.500 0.000 0.262
Na: 0.500 0.500 0.500
Mg: 0.500 0.500 0.000
Si: 0.000 0.000 0.500
Au: 0.000 0.500 0.262
Au: 0.500 0.000 0.738

Largest 6 diffraction maxima, in order of rising 2θ, 10 to 80 degrees two-theta:
(1 0 1), 22.62°, I = 100.0
(1 1 0), 26.23°, I = 34.1
(1 1 2), 37.32°, I = 70.6
(2 0 0), 37.43°, I = 35.7
(2 1 1), 44.18°, I = 36.3
(3 1 2), 67.46°, I = 24.4


For RbAc2MnO5, DFT lattice parameters and positions (PBE+U) gives the calculated X-ray diffraction stick pattern in this record (Cu Kα (λ = 1.5418 Å)).
No peak broadening, texture or thermal motion is included.

Top 10 peaks for 2θ from 10° to 90°, by intensity:
- 2θ = 29.0°, intensity 100, (2 0 1)
- 2θ = 31.6°, intensity 86, (2 1 1)
- 2θ = 14.8°, intensity 64, (0 0 1)
- 2θ = 41.2°, intensity 54, (2 1 2)
- 2θ = 27.7°, intensity 40, (2 1 0)
- 2θ = 29.8°, intensity 38, (0 0 2)
- 2θ = 52.4°, intensity 37, (2 0 3)
- 2θ = 54.8°, intensity 32, (4 1 1)
- 2θ = 54.0°, intensity 26, (3 3 0)
- 2θ = 61.5°, intensity 23, (4 1 2)

abc: 7.190 7.190 5.996
angles: 90.00 90.00 90.00
Atoms (fractional coordinates):
Rb1 0.000 0.000 0.000
Rb2 0.500 0.500 0.000
Ac1 0.182 0.318 0.500
Ac2 0.318 0.818 0.500
Ac3 0.682 0.182 0.500
Ac4 0.818 0.682 0.500
Mn1 0.000 0.500 0.000
Mn2 0.500 0.000 0.000
O1 0.000 0.000 0.500
O2 0.128 0.628 0.236
O3 0.128 0.628 0.764
O4 0.372 0.128 0.236
O5 0.372 0.128 0.764
O6 0.500 0.500 0.500
O7 0.628 0.872 0.236
O8 0.628 0.872 0.764
O9 0.872 0.372 0.236
O10 0.872 0.372 0.764


# 1
Theoretical powder XRD pattern of LaSbPd for Cu Ka, from a cell relaxed with PBE.
Lines closer than 0.1° are merged.

abc: 4.6541 4.6541 8.2021
angles: 90.00 90.00 120.00
Element x y z (fractional)
La (0.0000, 0.0000, 0.0000)
La (0.0000, 0.0000, 0.5000)
Sb (0.3333, 0.6667, 0.2500)
Sb (0.6667, 0.3333, 0.7500)
Pd (0.3333, 0.6667, 0.7500)
Pd (0.6667, 0.3333, 0.2500)

Main lines, sorted by position (15 to 90 degrees two-theta):
2theta  I_rel  h k l
31.11  100  1 0 2
38.69  59  1 1 0
44.17  13  0 0 4
50.46  26  2 0 2
60.14  32  1 1 4
65.34  23  2 1 2
70.03  10  3 0 0
86.63  12  3 0 4

# 2
Theoretical powder XRD pattern of LaSb3Pd for Cu Ka, from a cell relaxed with PBE.
Lines closer than 0.1° are merged.

abc: 12.9828 6.3183 12.9523
angles: 90.00 90.00 90.00
Element x y z (fractional)
La (0.1906, 0.2259, 0.2500)
La (0.1906, 0.2741, 0.7500)
La (0.1994, 0.7500, 0.0000)
La (0.1994, 0.7500, 0.5000)
La (0.8006, 0.2500, 0.0000)
La (0.8006, 0.2500, 0.5000)
La (0.8094, 0.7259, 0.2500)
La (0.8094, 0.7741, 0.7500)
Sb (0.0025, 0.0142, 0.6207)
Sb (0.0025, 0.0142, 0.8793)
Sb (0.0025, 0.4858, 0.1207)
Sb (0.0025, 0.4858, 0.3793)
Sb (0.2651, 0.2500, 0.0000)
Sb (0.2651, 0.2500, 0.5000)
Sb (0.2735, 0.7324, 0.2500)
-- stop --

In the past, I haven’t been a fan of practicing keyboarding on an iPad. How can we develop speed without the bumps on f and j, the feel of separate keys. Recently, I read research (which I wish I had bookmarked–it was one teacher’s classroom experiment) showing that students type as fast on the iPad as a traditional keyboard. That has me rethinking what I thought I knew.

This is my long way of apologizing for not having firsthand experience with iPad keyboarding apps. Here’s a list from efriends in my PLN:


education apps

Apps for Education

Kids love using iPads. All those fun activities that can be accessed quickly via the pad format are both stimulating andaddictive. I’m all for giving kids what they want in the way of educational tools, but there-in lies the rub:

How do you find those apps?

When my school asked me to come up with a collection to use on our new class-set of ipads (to cycle through grades 3-8), I thought it would be easy.
